Binary Hashing: Motivations and Algorithms

By Rylan O'Connell | November 26, 2019

As security researchers, we often spend a lot of time looking into the internals of libraries in products we are assessing. With this come some common time sinks, such as identifying library versions. While library version identification is relatively straightforward on the surface, other tasks are clearly more challenging – such as applying signatures to stripped binaries, porting defined types across libraries, and similar codebases.

For example, instead of upgrading an old, vulnerable library version, development teams sometimes choose to back-port and attempt to properly insert a patch into a vulnerable version of a code library. While there are a number of reasons this is done, it is difficult to accurately and automatically detect what has changed and what remains vulnerable.

We have recently been working under DARPA’s SafeDocs program to develop new methods for understanding and simplifying complex document formats (e.g., PDF) to safer, clearly understandable, and “verification-friendly” subsets.1 One way that we understand the format’s de facto standard is by conducting analysis of the common parsers which consume the data. As part of solving this problem, we often look at how exactly a parsing library is used. This includes how an input file traverses through this library when that library is nested deep inside various other programs. Binary hashing is one technique which can help us apply knowledge that a human analyst generates against one instantiation of the parser (e.g., annotation of a potentially exploitable function) to other instances of it being used.


Cryptographic hashing is common and familiar in the security industry. This involves taking in some input and producing a unique output that aims to minimize collisions (e.g., two separate inputs should have a very low probability of producing the same hash digest). This is critical for password comparisons, signature checking on software, or proof-of-work in a blockchain. However, in other instances we may want to comparatively maximize collisions. This includes applications such as audio/video fingerprinting, spam detection, matching text such as articles, and near-duplicate detection. In these cases, we leverage locality sensitive hashing which aims to put “similar” items into the same “bucket” together.

In applying this to binaries, we encounter a number of issues. Some, such as the order of instructions, are straightforward to address. For example, instructions within a basic block can be treated as unordered. There are also issues stemming from platform and architecture differences, which are harder to address. Compiler optimizations present even more difficult challenges.

Instruction Order
Platform and Architectural Differences
Compiler Optimizations

As a result of these and other challenges, there is no easy answer in the “real world” to binary hashing – each approach which we will discuss has its own strengths and weaknesses. Frequently, many methods are combined to help compensate and offset weaknesses. For example, Diaphora uses almost 50 heuristics2. Simply put, binary hashing is often messy in practice.

As a result, multiple mechanisms are often combined. Some prior art uses a number of simple algorithms in combination – specifically items such as cryptographic hashes which will not match fuzzily (by their nature) are combined in different ways. For example one heuristic is an MD5 of all non-relative bytes in the function; another is comparing the assembly code generated by IDA after ignoring auto-generated names. Others are more fuzzy – using a DeepToad fuzzy-match or a small-primes-product of the mnemonics in the function. Finally, some methods look at the connectedness of the graph – such as looking at callgraph matches.

From our review of the current practice and literature, we break these approaches down into two components:

Hash of the Basic Block (BB) Graph-Aware Measure
Hash of instructions contained within each individual basic block A secondary hash which accounts for the structure of a function’s CFG

Basic Block Hashing

We first provide an overview of a number of methods which are sometimes applied to basic block hashing, in implementation or academic literature. The below table summarizes what we see as the features and downsides of different algorithms.

Name Features Downsides References
Small Primes Product - Extremely simple to implement- Unaffected by instruction order- Low rate of false positives - High rate of false negatives- Only accounts for function contents, not structure 3, 4, 5
MD-Index - Accounts for function structure - Fails to account for function contents- High rate of false positives 3, 4, 5
KOKA Hash - Very low rate of false positives- Highly efficient- Accounts for function contents and structure - Only works with exact matches 6
Locality Sensitive Hash -Lower rate of false negatives-Able to account for minor differences between binaries-Unaffected by instruction order -Requires tuning to reduce false positives-Computationally expensive 7,8

For those interested, we include some high-level pseudocode for each algorithm discussed in an Appendix at the bottom of this article.

Locality Sensitive Hashing

Unlike the other algorithms described above, locality sensitive hashing algorithms are designed explicitly to collide similar inputs so that they result in the same hash. One popular implementation relies on dividing an N dimensional space with n hyperplanes such that an input’s “hash” can be derived from its position relative to each hyperplane.

We think the best way to learn this algorithm (7, 8) is through some visual depictions. We’ve attempted to simplify it into 2D space to share with you. You can click through the steps in the below diagrams:

In comparing this description with the other pseudocode in the Appendix, you’ll understand why this method is more computationally intensive - but it does yield a number of other benefits identified above.

Graph Hashing

For algorithms to support the graph hashing – e.g., which basic blocks are connected - we will compare Graph Edit Distance and the Weisfeiler Lehman Isomorphism Test.

Name Features Downsides References
Graph Edit Distance - Analog measure of similarity - NP Complete9- Must be run on every pair of functions 10
Weisfeiler Lehman Isomorphism Test - Linear runtime complexity on CFGs- Run once, compare resulting hashes - Binary detection of isomorphism 8

Our takeaways from studies in this area is that Weisfeiler Lehman is likely “good enough” for signature recognition, while Graph Edit Distance (GED) may be better suited for use in “bindiff” type applications. Because the GED gives an analog comparison of the similarity between two functions, in order to capture its full potential, we would need to compute the edit distance between every single pair of functions in a binary. While this may be feasible on small binaries with relatively few functions, it would quickly become unrealistic on more complex binaries. Weisfeiler Lehman, on the other hand, allows us to build up a unique “ID” for each CFG. As such, we can compute Weisfeiler Lehman once for each function, and use the resulting ID as a basic hash for comparison.

Weisfeiler Lehman Isomorphism Test

Using the Weisfeiler Lehman Isomorphism Test (WLI) allows us to perform a significant amount of pre-computation on data sets, and later perform comparisons on the results. This is crucial to being able to scale our analysis.

WLI operates through a series of rounds of neighbor discovery and relabeling. During neighbor discovery, the WLI algorithm simply gathers every neighbor of a node, and collects them into an (ordered) list. After every node has undergone neighbor discovery, the nodes are then relabeled to their neighborhood list. Finally, after several rounds of neighbor discovery and relabeling, a “hash” can be computed by visiting every node in order and building up a list of labels (similar to the neighbor discovery process).

This means that for N rounds, v vertices, and e edges, this algorithm’s runtime complexity is effectively O(Nve). The keen eyed among you may have realized that in a general graph (without multi-edges), |e| ≤ |v|, so this complexity could be further reduced to O(Nv2), which is no longer linear. However, because we are specifically concerned about running this algorithm on CFGs, we know that a node can have at most 2 branches, meaning that WLI will still run efficiently even on large functions with complex CFGs.

Again, we shall turn to a visual demonstration of how this algorithm runs:


We hope that this has given you a brief introduction to the subject area. Keep an eye out for our next post, where we released:

  1. Details of our approach, specifically targeting the problem of porting information across similar binaries
  2. Measurable metrics for algorithm performance
  3. An open-source tool for you to use and extend!

River Loop Security works heavily in applying program analysis techniques to solve real-world problems in cybersecurity, from research projects such as DARPA’s SafeDocs program to commercial penetration testing engagements where we audit source code or binaries to find vulnerabilities.

- - -
Computed, not measured: crystalline Tm3NiAg at its relaxed geometry at the PBE-GGA level of DFT.

Cell: 5.259 6.516 8.420 Å, 112.23 90.00 113.80°
Positions (direct):
Tm 0.901 0.803 0.767
Tm 0.099 0.197 0.233
Tm 0.604 0.207 0.883
Tm 0.396 0.793 0.117
Tm 0.818 0.637 0.329
Tm 0.182 0.363 0.671
Ni 0.151 0.303 0.963
Ni 0.849 0.697 0.037
Ag 0.387 0.773 0.527
Ag 0.613 0.227 0.473

Properties
- Energy of formation: -23 kJ per mole of atoms
- Magnetic moment: 0.000 μB/f.u.
- E: -23.24 eV per formula unit
- Distance to the lowest polymorph of the same formula: 41.8 meV per atom
- SG: C2/m


Computed, not measured: crystalline YLuTe3 at its relaxed geometry at the PBE-GGA level of DFT.

Cell: 8.992 9.858 4.008 Å, 90.00 63.54 90.00°
Positions (direct):
Y 0.070 0.250 0.679
Y 0.930 0.750 0.321
Lu 0.635 0.250 0.115
Lu 0.365 0.750 0.885
Te 0.168 0.927 0.582
Te 0.832 0.073 0.418
Te 0.168 0.573 0.582
Te 0.832 0.427 0.418
Te 0.360 0.250 0.890
Te 0.640 0.750 0.110

Properties
- Magnetic moment: 0.000 μB/f.u.
- E: -26.52 eV per formula unit
- ΔE_f (raw): -1.223 eV/atom
- Distance to the lowest polymorph of the same formula: 168.2 meV per atom
- SG: Pmmn


Computed, not measured: crystalline La8HC3Br3 at its relaxed geometry at the PBE-GGA level of DFT.

Cell: 7.767 7.774 8.716 Å, 116.54 89.99 119.98°
Positions (direct):
La 0.270 0.539 0.309
La 0.730 0.461 0.691
La 0.756 0.512 0.305
La 0.244 0.488 0.695
La 0.756 0.049 0.305
La 0.244 0.951 0.695
La 0.293 0.049 0.305
La 0.707 0.951 0.695
H 0.000 0.000 0.500
C 0.500 0.000 0.500
C 0.500 0.500 0.500
C 0.000 0.500 0.500
Br 0.000 0.000 0.000
Br 0.000 0.500 0.000
Br 0.500 0.500 0.000

Properties
- Magnetic moment: 0.000 μB/f.u.
- E: -86.20 eV per formula unit
- SG: C2/m


Computed, not measured: crystalline GaRh2Au at its relaxed geometry at the PBE-GGA level of DFT.

Cell: 2.989 2.989 6.773 Å, 90.00 90.00 90.00°
Positions (direct):
Rh 0.000 0.000 0.783
Rh 0.000 0.000 0.217
Au 0.500 0.500 0.500
Ga 0.500 0.500 0.000

Properties
- Energy of formation: -27 kJ per mole of atoms
- Magnetic moment: 0.000 μB/f.u.
- E: -22.13 eV per formula unit
- SG: P4/mmm


Computed, not measured: crystalline TaAlOs at its relaxed geometry at the PBE-GGA level of DFT.

Cell: 4.344 4.344 2.906 Å, 90.00 90.00 120.00°
Positions (direct):
Os 0.667 0.333 0.281
Al 0.000 0.000 0.097
Ta 0.333 0.667 0.622

Properties
- Energy of formation: -27 kJ per mole of atoms
- Magnetic moment: 0.000 μB/f.u.
- E: -27.67 eV per formula unit
- SG: P3m1


Computed, not measured: crystalline Cr2NiMo at its relaxed geometry at the PBE-GGA level of DFT.

Cell: 4.178 4.178 4.178 Å, 60.00 60.00 60.00°
Site moments in Bohr magnetons follow the coordinates.
Positions (direct):
Cr 0.000 0.000 0.000  2.04
Cr 0.750 0.750 0.750  -0.71
Mo 0.500 0.500 0.500  0.22
Ni 0.250 0.250 0.250  0.24

Properties
- Energy of formation: 21 kJ per mole of atoms
- Magnetic moment: 1.913 μB/f.u.
- E: -35.01 eV per formula unit
- SG: F-43m

* * * * *

Compound: Ba2Cu3S4Cl2
Source: OQMD
- - -

We encourage you to contact us if you have any questions or comments based on this post or have questions about applying binary analysis to solve your cybersecurity challenges.

This material is based upon work supported by the Defense Advanced Research Projects Agency (DARPA) under Contract No. HR001119C0074. Any opinions, findings and conclusions or recommendations expressed in this material are those of the author(s) and do not necessarily reflect the views of the Defense Advanced Research Projects Agency (DARPA).

Appendix: Algorithm Pseudocode

Small Primes Product
  1. Assign every mnemonic a unique prime
  2. For every function, multiply all mnemonic primes
  3. Every hash is unique to that combination of instructions
  1. For every every edge in the CFG, construct a tuple with
    • t0 : # incoming edges in source block
    • t1 : # outgoing edges in source block
    • t2 : # incoming edges in destination block
    • t3 : # outgoing edges in destination block
    • t4 : “Position” in CFG
  2. block_hash = t0 + t1√(2) + t2√(3) + t3√(5) + t4√(7)
  3. Function hash = Σ(block_hash)

Construct “feature vector” containing:

  1. Number of basic blocks in each category
    • Normal
    • Entry points
    • Exit points
    • Traps
    • Self loops
    • Loop heads
    • Loop tails
  2. Number of edges in each category:
    • Basis edges
    • Forward edges
    • Back edges
    • Cross links
  3. Bitvector representing dominator tree
  4. Calls to function
  5. Call in function
  6. Instruction histogram
  7. String histogram
  8. Markov lumping of CFG
Graph Edit Distance (GED)

Sum the number of operations to convert G1 to G2:

  • Node insertion
  • Node deletion
  • Node label change
  • Edge insertion
  • Edge deletion

  1. Bratus, S. Safe Documents. Retrieved from↩︎

  2. Koret, J. (2018, January 24). Heuristics and their explanation. Retrieved from↩︎

  3. Flake, H., & Porst, S. (2010, April 26). ShaREing is Caring. Retrieved from↩︎ ↩︎

  4. Dullien, T., Carrera, E., Eppler, S.-M., & Porst, S. (2010). Automated Attacker Correlation for Malicious Code. NATO OTAN. Retrieved from ↩︎ ↩︎

  5. Dullien, T., & Rolles, R. (n.d.). Graph-based comparison of Executable Objects. Retrieved from ↩︎ ↩︎

  6. Kehagias, A., & Karamitas, C. (n.d.). Efficient Features for Function Matching between Binary Executables. Retrieved from ↩︎

  7. Hari, S. (2018, July 5). Locality Sensitive Hashing for Similar Item Search. Retrieved from↩︎ ↩︎

  8. Weisfeiler-Lehman Graph Kernel for Binary Function Analysis. (2019, September 9). Retrieved from↩︎ ↩︎ ↩︎

  9. There are cases in which Graph Edit Distance can be efficiently computed, such as if the graph is a tree, however these situations do not appear to apply to most control flow graphs. ↩︎

  10. Abu-Aisheh, Z., Raveaux, R., Ramel, J.-Y., & Martineau, P. (n.d.). An Exact Graph Edit Distance Algorithm for Solving Pattern Recognition Problems. Retrieved from↩︎